Essay Instructions: Outsourcing
While the general readings for Module 3 are about International HRM, in the case for module 3 we are going to focus on outsourcing, a major phenomenon of international business that affects employment in a very significant way.
Outsourcing means that companies contract out activities previously performed in-house. We focus on international outsourcing. Companies are increasingly contracting out various functions in order to take advantage of lower labor costs in other countries.
Someone pasted records of crystals at this point:
/*
Computed X-ray diffraction stick pattern of LiTe4AuO14 for Cu Kα (weighted mean of Kα1 and Kα2), from DFT lattice parameters and positions (GGA-PBE).
Peak positions follow from Bragg's law for the DFT cell and can differ from measured ones.

Structure:
```
LiTe4AuO14
1.0
5.5313 0.0000 0.0000
1.9786 6.2668 0.0000
0.7313 3.0308 7.7596
Li Te Au O
1 4 1 14
Cartesian
0.0000 0.0000 0.0000
2.6123 7.0226 5.9568
3.7377 3.7223 6.3199
4.5035 5.5753 1.4397
5.6289 2.2749 1.8028
1.3550 4.6488 3.8798
2.1723 7.4712 7.6703
1.5613 3.3381 2.3630
2.8827 6.2726 1.9787
3.6922 7.5879 4.6390
3.0241 3.8030 4.5829
4.5707 8.6723 7.1566
3.8568 5.5806 6.6215
4.3845 3.7170 1.1381
3.6705 0.6253 0.6030
5.2172 5.4946 3.1767
4.5490 1.7097 3.1206
5.3585 3.0250 5.7809
6.6799 5.9595 5.3966
6.0690 1.8264 0.0893
```

Top 10 peaks for 15° ≤ 2θ ≤ 90°, sorted by position:
- d 5.784, 15.32 deg, intensity 31
- d 4.418, 20.10 deg, intensity 76
- d 3.586, 24.83 deg, intensity 100
- d 3.462, 25.73 deg, intensity 85
- d 3.446, 25.85 deg, intensity 41
- d 3.139, 28.43 deg, intensity 38
- d 2.908, 30.74 deg, intensity 46
- d 2.892, 30.92 deg, intensity 62
- d 2.636, 34.01 deg, intensity 30
- d 2.165, 41.71 deg, intensity 26

---

Computed X-ray diffraction stick pattern of LiOsAu3S4 for Cu Kα (weighted mean of Kα1 and Kα2), from DFT lattice parameters and positions (GGA-PBE).
Peak positions follow from Bragg's law for the DFT cell and can differ from measured ones.

Structure:
```
LiOsAu3S4
1.0
5.8711 0.0000 0.0000
0.0000 5.8711 0.0000
0.0000 0.0000 5.8711
Li Os Au S
1 1 3 4
Cartesian
0.0000 0.0000 0.0000
2.9356 2.9356 2.9356
0.0000 2.9356 2.9356
2.9356 0.0000 2.9356
2.9356 2.9356 0.0000
1.5251 1.5251 1.5251
1.5251 4.3461 4.3461
4.3461 1.5251 4.3461
4.3461 4.3461 1.5251
```

Top 10 peaks for 15° ≤ 2θ ≤ 90°, sorted by position:
- d 5.871, 15.09 deg, intensity 100
- d 3.390, 26.29 deg, intensity 47
- d 2.936, 30.45 deg, intensity 54
- d 2.626, 34.15 deg, intensity 52
- d 2.076, 43.60 deg, intensity 81
- d 1.957, 46.40 deg, intensity 30
- d 1.770, 51.63 deg, intensity 22
- d 1.424, 65.56 deg, intensity 16
- d 1.313, 71.92 deg, intensity 20
- d 1.198, 80.07 deg, intensity 28

---

Computed X-ray diffraction stick pattern of LiOsAuSe2S for Cu Kα (weighted mean of Kα1 and Kα2), from DFT lattice parameters and positions (GGA-PBE).
Peak positions follow from Bragg's law for the DFT cell and can differ from measured ones.

Structure:
```
LiOsAuSe2S
1.0
1.9437 -7.3357 0.0000
1.9437 7.3357 0.0000
0.0000 0.0000 8.9424
Li Os Au Se S
2 2 2 4 2
Cartesian
1.9437 4.1596 6.7068
1.9437 -4.1596 2.2356
1.9437 0.0000 0.0000
1.9437 0.0000 4.4712
1.9437 4.9865 2.2356
1.9437 -4.9865 6.7068
1.9437 5.6028 4.6163
1.9437 5.6028 8.7972
1.9437 -5.6028 0.1451
1.9437 -5.6028 4.3261
1.9437 0.0019 2.2356
1.9437 -0.0019 6.7068
```

Top 10 peaks for 15° ≤ 2θ ≤ 90°, sorted by position:
- d 5.672, 15.62 deg, intensity 41
- d 3.818, 23.30 deg, intensity 42
- d 3.464, 25.72 deg, intensity 24
- d 3.043, 29.35 deg, intensity 100
*/
Outsourcing started with manufacturing. Nowadays, IT is being increasingly outsourced to Asian countries, especially India and China. The movie industry has increasingly used outsourcing, by finding less and less expensive movie locations! Companies have also moved "call centers" to other countries, as well as other service-related functions.
Outsourcing is a controversial phenomenon. Companies perceive it as a cost-cutting strategy that enhances shareholder wealth. Opponents examine number of jobs lost in the United States. There is also concern about outsourcing strategic functions, such as IT.
Case Assignment
Write a 4 page paper about outsourcing from the perspective of a multinational firm (Yes, this may be a hypothetical firm), and be sure to answer the following questions:
1. What are the advantages of outsourcing?
2. What are the disadvantages of outsourcing?
Discuss why these are advantages and disadvantages and to whom.
Please read the following articles. Please go to the TUI Library Page, then to ProQuest to find these articles:
? Into Thin Air, Fast Company, Boston, April 2004, Issue 81, Pages 76-83 by Jennifer Reingold.
? A TEMPEST OVER OUTSOURCING American legislators are accusing India of stealing tech jobs Business Week, New York, June 16, 2003, Pages 20-21 by Manjeet Kripalani and Bruce Einhorn in Bangalore and Paul Magnusson in Washington from library portal via coursenet.
? "MOVE OVER, INDIA, China is rising fast as a services outsourcing hub", Business Week, New York, Aug 4, 2003, Issue 3844, Pages 20-21 from library portal via coursenet.
? "Software: Will outsourcing hurt America's supremacy?", Business Week, 3/1/2004 Issue 3872, Pages 84-93, by S Baker, M Kripalani, R.D. Hof, and J. Kerstetter
Case 3 Assignment Expectations
? Write a 4 page report that includes the following:
? State the problem and discuss the +s and -s of outsourcing from multiple views presented in the mod3 materials.
? Illustrate the +s and -s with examples from the module 3 materials and draw conclusions.
? List supporting references and cite sources.
? Use appropriate writing style (organization [introduction, body, conclusion], grammar, & spelling- see Writing Guidelines).
People are the main asset of any organization whether domestic or international.
International human resource management is a very critical function of an international company. While HRM functions generally remain the same as for domestic companies, the challenges become much more complex, due to various cultural differences and international factors such as values and laws.
As a result of such variations, different countries have different perceptions of Human Resource (HR) policies and functions. While some local offices perceive HR as a strategic partner, others see it as a stereotypical "personnel department" that handles routine paperwork. HR in the United States emphasizes payroll and other transactions. In the United Kingdom, payroll is often outsourced; HR focuses on personnel planning, training and other non-transactional processes. Hence, the vision of what HR is will vary from country to country and from company to company.
The Need for Flexibility
As a result, there is a need for flexibility to offset the economies of scale that come from standardization, from common practices, systems, missions, and corporate cultures.
Often something simple, like listing names, can create havoc. In one country using the last name first is considered terribly rude. In another it is considered mandatory HR practice. Some companies, then, decide to use multiple data bases. Flexibility is extremely important.
Laws & Cultural Differences
Laws can differ radically. One of the thorniest issues facing global HR departments is informational privacy. The comfort level for disclosing personal information will vary widely from country to country. Some cultures encourage total openness, others a strict separation between what is work related and what it personal. European Union privacy laws are a great deal stricter than those in the United States.
Differences in culture, expectations, HR functions, and legal requirements make managing human resources on the global level a challenging task for HR managers. When the firm's personnel are highly heterogeneous and diverse, this challenge gets even more complex.
Managing Globalization
HR management is effective if it is aligned with the corporate mission. It follows that an organization with a global corporate mission needs to deploy the various management functions and resources to address the global environment.
Several factors affect global Human Resource Management. They are legal, political, economic, and cultural. Legal and political elements refer to the political climate of a country (from stable to volatile), as well as to HR laws and regulations. Economic factors address the economic system, as well as currency issues. Cultural characteristics denote the system of values and beliefs typical of a group of people, a community, and a country.
International employees fall into three categories:
? expatriates,
? host-country (local) nationals;
? Third-country nationals.
Misplaced materials data:
┌──
Theoretical powder diffraction line list
Compound: Mg2Sn
Radiation: Cu Kα X-rays
Structure: a DFT-relaxed cell (PBE, the Materials Project)

Structural model:
Lattice parameters (Å, degrees): 3.266 16.184 5.421 90.00 90.00 90.00
Element x y z (fractional)
Mg: 0.000 0.111 0.250
Mg: 0.000 0.223 0.750
Mg: 0.000 0.777 0.250
Mg: 0.000 0.889 0.750
Mg: 0.500 0.277 0.250
Mg: 0.500 0.389 0.750
Mg: 0.500 0.611 0.250
Mg: 0.500 0.723 0.750
Sn: 0.000 0.443 0.250
Sn: 0.000 0.557 0.750
Sn: 0.500 0.057 0.750
Sn: 0.500 0.943 0.250

Principal peaks in the range 2θ from 10° to 90°, low angle first:
2theta, intensity
10.9, 90
19.7, 38
27.5, 40
27.9, 34
32.0, 21
33.0, 42
36.2, 100
37.2, 43
42.7, 24
61.1, 22
└──
An expatriate is an employee who is a citizen of the country where the headquarters of the company are located but not a citizen of the country where his/her subsidiary or unit is located.
A host-country or local national is a citizen of the country where the subsidiary or the unit is located, but not a citizen of the country where the headquarters are located.
A third-country national is a citizen of a country, who is neither a citizen of the country where the company is headquartered, nor of the country where the subsidiary/subunit is located, and who works for the subsidiary.
HR management must create the individual capabilities and behavior required by that environment. Examples of such capabilities include experience with and knowledge of the conduct of business across national borders. Examples of such behavior include interpersonal effectiveness in general and the display of cultural sensitivity in particular. Knowledge of local laws and business practices may call for hiring local nationals. Whereas, if the language of international clients with whom a firm is doing business is English, then local personnel will need to be bi-lingual or the USA firm will need expatriates.
Capabilities adaptive for the global environment may be assured by actively looking for them during the recruitment, selection, and assignment process. Behaviors useful for the international environment may be nurtured through the design and implementation of suitable performance evaluation and reward systems. In short, all aspects of HRM from selection of personnel to evaluation and pay are influenced by the cultures and places where a firm does business.
For additional information, please read the following articles. They present important aspects of Global Human Resource Management and highlight the increasingly strategic role it plays. The importance of the HR executives is being increasingly recognized globally. The roles and functions of HR in the global context have become increasingly strategic.
NOTE: The following articles can be found by searching Proquest or EBSCO at the TUI University Library!
Required Reading:
"HR issues top of mind for execs worldwide: Study", David Brown. Canadian HR Reporter. Toronto: May 5, 2003. Vol 16, Iss.9 from library portal via coursenet.
"Going beyond hiring, firing and compensation", Anonymous (2002) Human Resource Management International Digest. Bradford: Vol. 10, Iss. 1; pg. 4, 3 pgs. From library portal via coursenet.
n.d. (2006) The Future Of Outsourcing, Business Week, 30 January 2006.
Lowe, K. (2010) The Pros and Cons of Outsourcing: Should you outsource business functions or is it better to keep them in-house? article 49616, Entrepreneur Magazine.
Prahalad, C. K. (2000). Emerging work. Executive Excellence, 17, 5-7.
Cuthill, S. (2000). Guest column: Managing HR across borders. Compensation & Benefits Management, 16, 43-46. from library portal via coursenet.
Anonymous (2003) "MOVE OVER, INDIA, China is rising fast as a services outsourcing hub", Business Week, New York, Aug 4, 2003, Issue 3844, Pages 20-21 from library portal via coursenet.
Baker, S., M Kripalani, R.D. Hof, and J. Kerstetter (2004) "Software: Will outsourcing hurt America's supremacy?"Business Week, 3/1/2004 Issue 3872, Pages 84-93.